Organs of Hearing Organ of Corti - Located within the cochlea Receptors = hair cells on the basilar membrane Gel-like tectorial membrane is capable of bending hair cells Cochlear nerve is attached to hair cells transmits nerve impulses to auditory cortex on temporal lobe
Organs of Hearing Figure 8.15
Mechanisms of Hearing Figure 8.16a–b
The Process of Hearing 1) Vibrations from sound waves move through a medium to the Pinna and into the auditory canal of the outer ear. 2) The vibrations reach the middle ear and vibrate the eardrum. The malleus bone which is attached to the eardrum is vibrated and it is sent to the incus and to the stapes bones. 3) The vibrations are amplified as they travel through the three bones 4) The stapes is attached to the cochlea at the oval window of the inner ear and it vibrates the fluid inside called endolymph.
The Process of Hearing 5) In the Cochlea the Organ of Corti has hair (receptor) cells touching the tectorial membrane 6) The hair cells are bent by the membrane and an action potential starts in the cochlear nerve sending signals to the auditory cortex. 7) Continued stimulation can lead to adaptation Ex: like tuning out the furnace in the room
Homeostatic Imbalances Conduction Deafness – some kind of interference with the conduction of sound vibrations to the fluids of the inner ear (could be as simple as ear wax) Otosclerosis – fusion of ossicle bones (hammer, anvil, stirrup) Hearing aides – can help overcome conduction deafness; conducts sounds through the skull Sensorineural Deafness – occurs from damage to the receptor cells in the Organ of Corti, cochlear nerve, or auditory cortex in the brain (nerve structures) Often caused by exposure to loud noises (MUSIC, guns, jackhammer, etc.)
Organs of Equilibrium Receptor cells are in two structures Vestibule 2) Semicircular canals Figure 8.14a–b
Organs of Equilibrium Equilibrium has two functional parts Static equilibrium (Vestibule) = body NOT moving Dynamic equilibrium (Semi-circular canals) = body moving Figure 8.14a–b
Static Equilibrium and Functon of Maculae Maculae – receptors in the vestibule that report on the position of the head Sends info to the cerebellum via the vestibular nerve to help keep our head erect. Anatomy of the maculae Hair cells are embedded in the otolithic membrane which is a jelly-like material containing Otoliths Otoliths (tiny calcium stones) float in a gel around the hair cells Movements due to changes in gravity cause otoliths to bend the hair cells … kind of messing with yourself when you headbang!
**The text is interrupted by data records**
Entry one
Compound: BeSiSCl2
Source: the Alexandria database
Functional: GGA-PBE
Structure: optimized geometry

abc: 4.681 4.681 4.653
angles: 90.00 90.00 90.00
Space group P4/mmm (No. 123)
One atom of each set of equivalent atoms:
1 Be 0.000 0.000 0.000 [1 per cell]
2 Si 0.500 0.500 0.500 [1 per cell]
3 S 0.500 0.500 0.000 [1 per cell]
4 Cl 0.000 0.500 0.500 [2 per cell]



Entry two
Compound: BeSiSCl2
Source: the Alexandria database
Functional: GGA-PBE
Structure: optimized geometry

abc: 4.270 4.270 4.883
angles: 90.00 90.00 90.00
Space group P4/mmm (No. 123)
One atom of each set of equivalent atoms:
1 Be 0.000 0.000 0.000 [1 per cell]
2 Si 0.500 0.500 0.500 [1 per cell]
3 S 0.000 0.000 0.500 [1 per cell]
4 Cl 0.000 0.500 0.000 [2 per cell]



Stability ranking, top entry: entry two; the second entry is 422 meV/atom less favorable.

~~~~~

ScAgHgAu: relaxed, GGA-PBE.

Properties
E = -3.56 eV/atom
Magnetic moment = 0.00 μB/f.u.
Formation energy = -0.374 eV per atom
DOS at the Fermi energy = 3.57 states/eV per cell
Relative energy among the computed polymorphs = 0.015 eV per formula unit

abc: 4.798 4.798 4.798
angles: 60.00 60.00 60.00
Fractional coordinates of all 4 atoms:
Sc (0.000, 0.000, 0.000)
Ag (0.500, 0.500, 0.500)
Hg (0.250, 0.250, 0.250)
Au (0.750, 0.750, 0.750)

~~~~~

Record 1
{"formula": "MoAs", "functional": "PBE-GGA", "state": "relaxed", "ef_mev_per_atom": -149, "lattice_angstrom": [[3.2922, 0.0000, 0.0000], [0.0000, 3.2922, 0.0000], [0.0000, 0.0000, 5.8585]], "species": ["Mo", "Mo", "As", "As"], "fractional_positions": [[0.2500, 0.2500, 0.1607], [0.7500, 0.7500, 0.8393], [0.2500, 0.2500, 0.6543], [0.7500, 0.7500, 0.3457]]}

Record 2
{"formula": "TbPmMg", "functional": "PBE-GGA", "state": "relaxed", "relative_energy_kj_per_mol_atoms": 5.1, "ef_mev_per_atom": 3, "lattice_angstrom": [[3.4498, 0.0000, 0.0000], [0.0000, 5.4533, 0.0000], [-0.0062, 0.0000, 9.6608]], "species": ["Tb", "Tb", "Pm", "Pm", "Mg", "Mg"], "fractional_positions": [[0.0034, 0.0000, 0.0852], [0.9966, 0.5000, 0.9148], [0.4989, 0.0000, 0.7448], [0.5011, 0.5000, 0.2552], [0.0018, 0.5011, 0.5798], [0.9982, 0.0011, 0.4202]]}

~~~~~

Compound: ErFe2Cl6
Source: the Alexandria database
Functional: PBE-GGA
Structure: optimized geometry

a = 12.613 Å, b = 11.487 Å, c = 6.855 Å
α = 90.00°, β = 100.74°, γ = 90.00°
Space group C2/c (No. 15)
Symmetry-distinct sites (fractional):
Er 0.000 0.109 0.250
Fe 0.185 0.426 0.310
Cl 0.115 0.071 0.615
Cl 0.130 0.251 0.139
Cl 0.134 0.418 0.611

Properties
Formation energy from raw total energies   -112.75 kJ/mol of atoms



Compound: LiInSnHg
Source: the Alexandria database
Functional: PBE-GGA
Structure: optimized geometry

a = 7.245 Å, b = 7.245 Å, c = 7.245 Å
α = 90.00°, β = 90.00°, γ = 90.00°
Space group F-43m (No. 216)
Symmetry-distinct sites (fractional):
Li 0.000 0.000 0.000
In 0.000 0.000 0.500
Sn 0.250 0.250 0.750
Hg 0.250 0.250 0.250

Properties
Energy relative to the elements   -0.131 eV per atom



Compound: AcHo5In3
Function of Maculae Figure 8.13a–b
Dynamic Equilibrium and function of Crista Ampullaris Crista ampullaris – receptors in the semicircular canals with Tufts of hair cells Cupula (gelatinous cap) covers the hair cells Figure 8.14c
Dynamic Equilibrium and function of Crista Ampullaris Action of angular head movements (Boat, roller coaster, merry-go-round) 1) The cupula stimulates the hair cells 2) An action potential is sent via the vestibular nerve to the cerebellum 3) Static and dynamic equilibrium have different receptors but they work together with many other receptors to keep your balance. Figure 8.14c
Chemical Senses – Taste and Smell Both senses use chemoreceptors and are stimulated by chemicals in solution Both senses complement each other and respond to many of the same stimuli
Olfaction – The Sense of Smell Olfactory receptors - Neurons with long cilia in the roof of the nasal cavity Chemicals must be dissolved in mucus for detection Impulses are transmitted via the olfactory nerve Interpretation of smells is made in the cortex Olfactory pathways are tied to the limbic system (emotions). Certain smells bring back memories.
Olfactory Epithelium Figure 8.17
The Sense of Taste Taste buds house the receptor organs for taste Most are on the tongue and some are on the soft palate and Cheeks Figure 8.18a–b
The Tongue and Taste The tongue is covered with projections called papillae Filiform papillae – sharp with no taste buds Fungifiorm papillae – rounded with taste buds Circumvallate papillae – large papillae with taste buds Taste buds are found on the sides of papillae
Structure of Taste Buds Gustatory cells – taste receptors with gustatory hairs (long microvilli) Hairs are stimulated by chemicals dissolved in saliva
Structure of Taste Buds Impulses are carried to the gustatory complex by several cranial nerves because taste buds are found in different areas 1) Facial nerve 2) Glossopharyngeal nerve 3) Vagus nerve
Anatomy of Taste Buds Figure 8.18
Taste Sensations Sweet receptors : Sugars, Saccharine, Some amino acids Sour receptors : Acids Bitter receptors: Alkaloids (bases) Salty receptors: Metal ions Umami: amino acid glutamate; “beef taste” of steak located in the pharynx
Developmental Aspects of the Special Senses Formed early in embryonic development Eyes are outgrowths of the brain All special senses are functional at birth